........
Diffraction record for WS2ClO8. The powder diffractogram is simulated, not measured: it uses a structure optimized by DFT (PBE+U) and Cu Kα (λ = 1.5418 Å).
Kinematic intensities with the Lorentz-polarization factor, no thermal factor.

The 10 most intense peaks (2θ from 5° to 70°), by angle:
9.87 deg, d 8.966, I 100
19.81 deg, d 4.483, I 9
20.09 deg, d 4.420, I 9
20.59 deg, d 4.313, I 23
22.25 deg, d 3.995, I 29
25.38 deg, d 3.509, I 42
31.07 deg, d 2.878, I 16
32.73 deg, d 2.737, I 9
36.73 deg, d 2.447, I 9
39.51 deg, d 2.281, I 10

Crystal structure
```
WS2ClO8
1.0
4.2708 -2.6526 0.0000
4.2708 2.6526 0.0000
-3.3902 0.0000 8.9656
W S Cl O
1 2 1 8
direct
0.0000 0.0000 0.0000 W
0.4250 0.4250 0.1809 S
0.5750 0.5750 0.8191 S
0.0000 0.0000 0.5000 Cl
0.2511 0.7018 0.8430 O
0.2611 0.2611 0.0522 O
0.2982 0.7489 0.1570 O
0.4138 0.4138 0.3253 O
0.5862 0.5862 0.6747 O
0.7018 0.2511 0.8430 O
0.7389 0.7389 0.9478 O
0.7489 0.2982 0.1570 O
```


This entry pairs a crystal structure of YHgPd2 with its simulated PXRD pattern. Radiation: Cu Kα, 1.54184 Å. Structure: a DFT-relaxed cell (PBE, OQMD).
No peak broadening, texture or thermal motion is included.

Most intense lines, 15 to 90 degrees two-theta, sorted by position:
2θ (°)	d (Å)	I (rel.)	hkl
22.63	3.929	8	1 1 1
26.19	3.403	6	2 0 0
37.37	2.406	100	2 2 0
44.13	2.052	4	3 1 1
53.89	1.701	17	4 0 0
60.87	1.522	2	4 2 0
67.41	1.389	35	4 2 2
79.70	1.203	11	4 4 0

Structure:
a b c (Å): 6.806 6.806 6.806
angles (deg): 90.00 90.00 90.00
Space group F-43m (No. 216)
Asymmetric unit:
Y 0.000 0.000 0.000
Hg 0.250 0.250 0.250
Pd 0.000 0.000 0.500
Pd 0.250 0.250 0.750

This entry pairs a crystal structure of Zr3ScSb2 with its simulated PXRD pattern. Radiation: Cu Kα, 1.54184 Å. Structure: a DFT-relaxed cell (PBE, OQMD).
No peak broadening, texture or thermal motion is included.

Most intense lines, 15 to 90 degrees two-theta, sorted by position:
2θ (°)	d (Å)	I (rel.)	hkl
22.20	4.005	24	1 0 1
32.58	2.748	76	1 1 2
33.65	2.663	34	0 0 6
38.12	2.361	100	1 1 4
43.74	2.070	52	2 0 0
45.38	1.999	21	0 0 8
56.30	1.634	32	2 0 6
76.60	1.244	25	3 1 4

Structure:
a b c (Å): 4.139 4.139 15.979
angles (deg): 90.00 90.00 90.00
Space group I4mm (No. 107)
Asymmetric unit:
Zr 0.000 0.000 0.000
Zr 0.000 0.500 0.175
Sc 0.000 0.000 0.353
Sb 0.000 0.000 0.536
Sb 0.000 0.000 0.816

This entry pairs a crystal structure of Li4Sm3Ge4 with its simulated PXRD pattern. Radiation: Cu Kα, 1.54184 Å. Structure: a DFT-relaxed cell (PBE, OQMD).
No peak broadening, texture or thermal motion is included.

Most intense lines, 15 to 90 degrees two-theta, sorted by position:
2θ (°)	d (Å)	I (rel.)	hkl
21.20	4.190	25	1 0 1
26.30	3.389	33	0 2 0
27.46	3.248	24	1 0 3
33.53	2.673	25	0 1 5
34.03	2.635	74	1 2 1
34.70	2.585	100	1 1 4
41.27	2.188	26	2 0 0
67.75	1.383	24	2 3 5

Structure:
a b c (Å): 4.375 6.777 14.542
angles (deg): 90.00 90.00 90.00
Space group Immm (No. 71)
Asymmetric unit:
Li 0.000 0.190 0.171
Sm 0.000 0.000 0.370
Sm 0.000 0.500 0.500
Ge 0.000 0.313 0.000
Ge 0.000 0.500 0.286

This entry pairs a crystal structure of CsRbZrAg2Te4 with its simulated PXRD pattern. Radiation: Cu Kα, 1.54184 Å. Structure: a DFT-relaxed cell (PBE, OQMD).
No peak broadening, texture or thermal motion is included.

Most intense lines, 15 to 90 degrees two-theta, sorted by position:
2θ (°)	d (Å)	I (rel.)	hkl
25.87	3.444	100	1 1 1
26.04	3.422	98	1 1 -2
27.02	3.300	31	2 0 -1
29.54	3.024	43	2 0 -2
36.06	2.491	27	0 2 2
38.58	2.334	79	2 2 -1
45.13	2.009	34	0 2 3
47.11	1.929	38	1 3 1

Structure:
a b c (Å): 6.606 6.597 8.260
angles (deg): 90.00 113.06 90.00
Space group P2 (No. 3)
Asymmetric unit:
Cs 0.000 0.000 0.000
Rb 0.500 0.483 0.000
Zr 0.500 0.740 0.500
Ag 0.000 0.741 0.500
Ag 0.500 0.241 0.500
Te 0.152 0.500 0.286
Te 0.365 0.981 0.715

This entry pairs a crystal structure of K2Pa3S8 with its simulated PXRD pattern. Radiation: Cu Kα, 1.54184 Å. Structure: a DFT-relaxed cell (PBE, OQMD).
No peak broadening, texture or thermal motion is included.
........
Could you count the lines above that contain the word "degrees" and give the number alone?
4